- - -
Below is C4H11N3S as an isolated structure in a non-equilibrium geometry, with properties calculated with ωB97M-V/def2-TZVPD.

Output
* Kohn-Sham gap: 7.115 eV
* energy relative to the best compared isomer or geometry (same formula, charge and spin): 306.9 kJ/mol
* F_max: 6.29 eV/A
* HOMO level: -6.73 eV

The geometry in XYZ format:
```
19
Properties=species:S:1:pos:R:3:forces:R:3
C -0.356138 -0.212996 -1.353592 0.15 0.59 0.81
C 0.894994 1.087472 1.824572 -0.11 1.05 1.09
C 0.351759 -1.388454 0.799932 0.93 -0.45 -3.35
C -0.281885 0.912957 0.919513 -1.44 -0.16 1.36
N 0.008168 0.869483 -2.118463 -0.09 -0.32 0.37
N -0.014704 -0.165246 -0.014195 0.12 -1.11 0.96
N -0.940300 -1.237785 -1.890332 0.55 1.54 -6.08
S -2.224687 -2.194833 -1.417717 -0.61 -0.90 0.88
H 0.814383 2.020379 2.466853 0.53 -0.57 -1.45
H 0.937080 0.342271 2.617639 0.15 -0.42 -0.40
H 1.670738 0.949390 1.084629 1.36 0.67 0.77
H 1.399383 -1.356029 1.133736 -0.34 0.37 -0.11
H -0.285515 -1.451042 1.627131 -1.08 -0.33 1.10
H 0.293206 -2.287274 0.142349 -0.37 0.65 0.64
H -1.133696 0.774064 1.620417 -0.19 -0.90 -0.73
H -0.584919 1.814185 0.470392 0.16 1.18 -1.22
H -0.435263 1.151551 -2.996278 0.26 -0.40 0.88
H 0.746319 1.411295 -1.714330 0.13 0.41 -0.29
H -0.858925 -1.039388 -3.202259 -0.11 -0.89 4.78
```
Forces are in eV/Å.

Atom charges from the Löwdin analysis, given in e for atoms 1 to 8: -0.521 -0.110 -0.044 -0.275 0.151 -0.099 -0.552 0.312

Below is one molecule with the formula C6H11N in a non-equilibrium geometry, with properties calculated with ωB97M-V/def2-TZVPD.

Output
* Kohn-Sham gap: 8.654 eV
* energy relative to the best compared isomer or geometry (same formula, charge and spin): 284.6 kJ/mol
* F_max: 3.30 eV/A
* SMILES: C=CC(N)=C(C)C
* HOMO level: -7.74 eV

The geometry in XYZ format:
```
18
Properties=species:S:1:pos:R:3:forces:R:3
C 0.698904 -0.095225 2.128682 -3.10 -0.26 -1.11
N 0.256980 -1.972746 -0.273408 1.01 0.84 0.21
C -0.091961 -0.535640 -0.315072 1.36 -2.98 -0.38
C -0.166970 0.170390 0.813396 -0.36 1.05 0.79
C -1.208495 1.291684 0.777340 0.68 2.72 -0.61
C 0.462390 0.675304 -2.425157 0.29 -1.12 -2.96
C -0.345221 -0.138898 -1.750668 -0.93 -0.67 0.96
H 0.757875 0.822190 2.762996 0.24 -0.81 -0.72
H 0.235516 -0.918639 2.710292 0.12 0.57 0.08
H 1.592859 -0.506852 1.745280 1.47 0.06 0.05
H 0.492819 -2.359239 0.678673 -0.24 0.79 -1.65
H 0.937131 -2.248108 -1.014366 -0.67 0.21 1.11
H -1.238244 1.823268 1.830553 -0.61 -1.21 -2.09
H -2.235900 0.921671 0.306966 2.11 1.04 1.48
H -0.777075 2.179274 0.052663 -1.31 -2.03 1.63
H 0.247534 0.812507 -3.556469 0.27 -0.10 2.01
H 1.527711 0.808708 -2.204218 -0.69 0.82 0.75
H -1.145852 -0.729651 -2.267483 0.37 1.10 0.46
```
Forces are in eV/Å.

Atom charges from the Löwdin analysis, given in e for atoms 1 to 8: -0.048 0.056 -0.348 -0.313 -0.104 -0.008 -0.163 0.079

Below is one molecule with the formula C3H5ClFN in a non-equilibrium geometry, with properties calculated with ωB97M-V/def2-TZVPD.

Output
* Kohn-Sham gap: 11.114 eV
* energy relative to the best compared isomer or geometry (same formula, charge and spin): 62.2 kJ/mol
* F_max: 3.12 eV/A
* SMILES: F[C@@H](Cl)[C@@H]1CN1
* HOMO level: -10.19 eV

The geometry in XYZ format:
```
11
Properties=species:S:1:pos:R:3:forces:R:3
C -0.066064 -0.709092 0.959972 -1.92 1.14 -2.18
C 0.675589 0.175009 -0.045331 -2.04 -2.01 -0.42
C -0.241279 1.048525 -0.806339 1.07 -0.19 0.58
H -1.033222 -1.059472 0.409642 1.34 0.47 1.35
H 1.700216 0.200368 0.151637 1.49 0.85 0.14
H -1.225207 0.990925 -0.346497 -0.13 0.60 -0.57
H 0.199592 1.989728 -1.148875 -0.72 -0.31 -0.12
H -0.389361 -0.972274 -1.388793 0.85 1.42 -0.41
N 0.290851 -0.162381 -1.450954 -0.66 -0.79 0.68
F 0.645723 -1.774190 1.298113 0.61 -0.82 0.67
- - -
It remains to search the contents above for the word "and" and transcribe each line that has it.
* energy relative to the best compared isomer or geometry (same formula, charge and spin): 306.9 kJ/mol
* energy relative to the best compared isomer or geometry (same formula, charge and spin): 284.6 kJ/mol
* energy relative to the best compared isomer or geometry (same formula, charge and spin): 62.2 kJ/mol